There are way more manuscripts than opportunities for respected peer-reviewed publications (Sinhababu 2016). So many good manuscripts might never be properly reviewed (or published). This would be bad. In this post, I’ll mention a few potential solutions. Then I’ll briefly evaluate one: eliminating compulsory peer-review altogether.
1. Peer Review Is New
I learned from Kate Norlock that peer-review is a relatively recent thing.†
… the surprisingly short history of what we now think of as peer-review [Times Higher Ed.] … the Google ngram on peer-review: [Google ngram article] …. suggests that academics have only been so fixated on it as the measure of our worth since the 1970s.
2. The Current Form of Peer Review Isn’t Obviously Optimal
One reason for peer-review might be that it inhibits bias. And there is some evidence that anonymous peer-review reduces bias (Budden et al 2008). However, a review of 17 studies challenges this finding (Bastian 2015; for more discussion see a post by Norlock).††
Perhaps further reviews of the evidence would undermine our other reasons for existing peer-review practices — feel free to point me to such reviews in the comments. Whatever the evidence is, if it does not obviously favor the status quo, then we should investigate our alternatives.
3. Alternatives To The Current Peer Review
As Kate Norlock (and Aileen Fyfe) mentioned, the current norms of peer-review are relatively new. And as Hilda Bastian explains, the apparent reasons for current peer-review practices are not well supported by evidence. So let’s consider some alternatives to current peer-reviewed publication practices. Starting with the most drastic…
- No more journals, publishers, or top-down quality control, ever. That is, we publish stuff whenever we want, wherever we want, however we want (repositories, personal websites, etc.).
- Keep journals and other publication schemes, but no more top-down quality control. Journals, publishers, etc. would be for organizational purposes only — e.g., Ethics continues to publish stuff about ethics.
- Keep journals and other publication schemes, and keep editors, but no more referees. Journals, publishers, etc. would serve organizational and minimal quality control functions — e.g., editors could still desk reject papers that do not meet basic academic standards, but they would publish everything else.
- Keep journals and other publication schemes, keep editors, and keep referees, but don’t base publication decisions on referee reports. Referees still complete reports, but editors do not have access to them until after a decision has been made. Maybe editors could append (signed?) reviewer comments (ratings?) to every published paper (van Rooyen, Delamothe, and Evans 2010).
- Open peer review. Keep journals and other publication schemes, keep editors, and keep referees, but make reviewers sign their referee reports (van Rooyen 1999, Walsh et al 2000).
- Whatever we do, make publication less of a priority. For instance, we could assign less weight to publications in decisions to hire, promote, fund, invite to [whatever], etc.
- Whatever we do, stop attributing prestige to certain journals and publishers. Maybe just stop ranking journals altogether …or at least stop ranking them badly (see “Academic Tech: Custom Reporting & Ranking“)
(There are other possibilities that I have ignored; feel free to add to this list in the comments. )
4. Should We Eliminate Peer Review?
Our first possibility is tantamount to eliminating compulsory peer-review altogether. We can easily imagine potential pros and cons of this proposal.
- The opportunity to prioritize other stuff. Imagine how much time and energy would be freed up by eliminating compulsory review! Academics would not be bogged down by manuscript reviews, editors would not be bogged down by the search for reviewers, etc. Who knows, maybe this time could be better spent on something else.
- Faster publication cycle. One of the primary reasons for delayed publication is peer-review. It takes time to find reviewers, wait for their reports, and make a decisions based on reviewers’ reports. Without a compulsory review process, this delay is eliminated. Research could be available much faster. This would have benefits for both academics and whoever consumes academic research.
Regarding the first point, it’s not entirely clear whether the value of other stuff is higher than the value of compulsory peer-review. What we need are credible analyses of the costs and benefits of each.
Something similar can be said about the second point: We need to know more about the costs and benefits of both a faster publication cycle and compulsory peer-review. Until we know more, it’s not clear whether the benefit(s) of faster publication would be a net benefit.
- Less dialogue. If we eliminate compulsory peer-review, then there will be less dialogue between academics. This might result in — among other things — academics work being less inclusive, interdisciplinary, rigorous, etc.
- Fewer indicators of quality. Without the stamp of approval from prestigious peer-reviewed journals, book publishers, conferences, etc., it will be harder to separate the seemingly good stuff from the seemingly not so good stuff.†††
- More errors. With fewer people checking our work, there might be more errors in publications.
The concern about dialogue might not be warranted. There are other mechanisms for dialogue besides peer-review. Indeed, academics engage in other forms of dialogue without being compelled to do so. For example, academics are often invited (not on the basis of peer-review) to present and answer questions about their research. So there would still be opportunities for dialogue without compulsory peer-review. The question is whether the value of compulsory peer-review can be provided by these other forms of dialogue. Further, the claim that this would cause less dialogue is a testable hypothesis. I do not know of good evidence that supports the hypothesis.
The concern about indicators of quality is probably unwarranted. After all, academics can determine quality without compulsory peer-review. For instance, academics can (and do) look to the wisdom of the crowd (of readers). And they can (and do) rely on their own judgments. So it is not clear what academics would lose in the way of quality indicators if compulsory peer-review were eliminated.
I am not sure what to make of the concern about errors. After all, additional people working on a manuscript can easily result in more errors, not less. What do the data say about the average quantity (and severity) of errors that are prevented by compulsory peer-review?
The publication of good research is delayed and even prevented by the resource-intensive demands of compulsory peer-review. One potential fix is the elimination of compulsory peer-review. In order to evaluate this proposal, we would need to determine the costs and benefits of compulsory peer-review. We’d also need to determine the costs and benefits of the alternatives.
_Calculated crystals, as found in the file_
........
A geometry-optimized Ca2YMo structure, computed with GGA-PBE.

a b c (Å): 3.363 5.427 12.778
angles (deg): 90.00 90.00 90.00
Space group Immm (No. 71)
Asymmetric unit:
Ca1 0.000 0.000 0.198
Y1 0.000 0.500 0.000
Mo1 0.000 0.500 0.500

## Properties
DFT formation energy: 0.590 eV per atom
magnetization: 0.41 μB/cell
uncorrected energy: -4.7350 eV/atom
........
† Kate Norlock’s original comment is here.
†† Thanks to Kate Norlock for pointing me to this review.
††† For more on prestige in academia, see this wonderful presentation: “Prestige: The first and final hurdle…“
Thanks to people on Reddit for helping me to look further into the literature [Reddit comments]. Here’s a preliminary list of things to check out:
Bornmann, L., & Mungra, P. (2011). Improving peer review in scholarly journals. European Science Editing, 37(2), 41–43. (
Walker, R., & Rocha da Silva, P. (2015). Emerging trends in peer review: a survey. Frontiers in Neuroscience, 9.
Bastian, H. (2014). A Stronger Post-Publication Culture Is Needed for Better Science. PLOS Med, 11(12), e1001772.
Foley, J. A. (2013). Peer Review, Citation Ratings and Other Fetishes. Springer Science Reviews, 1(1-2), 5–7.
Resnik, D. B., & Elmore, S. A. (2015). Ensuring the Quality, Fairness, and Integrity of Journal Peer Review: A Possible Role of Editors. Science and Engineering Ethics, 22(1), 169–188.
Lortie, C. J., Allesina, S., Aarssen, L., Grod, O., & Budden, A. E. (2013). With Great Power Comes Great Responsibility: the Importance of Rejection, Power, and Editors in the Practice of Scientific Publishing. PLOS ONE, 8(12), e85382.
Robertson, C. T., & Kesselheim, A. S. (2016). Blinding as a Solution to Bias: Strengthening Biomedical Science, Forensic Science, and Law. Academic Press.
Samir Hachani. (2015). Open Peer Review: Fast Forward for a New Science. In Current Issues in Libraries, Information Science and Related Fields (Vol. 39, pp. 115–141). Emerald Group Publishing Limited. Retrieved from
Hanel, P. H. P. (2015). Why scientific publications should be anonymous. arXiv:1512.05382 [cs]. Retrieved from